# Entries
~~~
# 1
Entry from Alexandria via LeMat-Bulk: a relaxed structure of Pr2Ga7Cu12 (PBE).

Unit cell a=9.6138 b=9.6138 c=4.0697 alpha=90.00 beta=90.00 gamma=120.00
Closest atoms and distances in Å follow each position.
Atoms (fractional coordinates):
Pr1 0.0000 0.0000 0.0000  12 Cu 3.11-3.33, 6 Ga 3.20
Pr2 0.3333 0.6667 0.5000  9 Cu 3.20-3.39, 6 Ga 3.24
Ga1 0.0344 0.4765 0.0000  7 Cu 2.49-2.71
Ga2 0.2637 0.2495 0.5000  7 Cu 2.47-2.64
Ga3 0.4422 0.9656 0.0000  7 Cu 2.49-2.71
Ga4 0.5235 0.5578 0.0000  7 Cu 2.49-2.71
Ga5 0.6667 0.3333 0.0000  9 Cu 2.44-2.55
Ga6 0.7505 0.0142 0.5000  7 Cu 2.47-2.64
Ga7 0.9858 0.7363 0.5000  7 Cu 2.47-2.64
Cu1 0.0199 0.2841 0.5000  4 Ga 2.53-2.71, 5 Cu 2.55-2.70
Cu2 0.1473 0.7742 0.0000  4 Ga 2.47-2.50, 3 Cu 2.66-2.74
Cu3 0.2258 0.3731 0.0000  4 Ga 2.47-2.50, 3 Cu 2.66-2.74
Cu4 0.2642 0.9801 0.5000  4 Ga 2.53-2.71, 5 Cu 2.55-2.70
Cu5 0.3741 0.1924 0.0000  4 Ga 2.44-2.57, 2 Cu 2.70
Cu6 0.5693 0.1492 0.5000  3 Cu 2.55-2.66, 5 Ga 2.55-2.64
Cu7 0.5799 0.4307 0.5000  3 Cu 2.55-2.66, 5 Ga 2.55-2.64
Cu8 0.6269 0.8527 0.0000  4 Ga 2.47-2.50, 3 Cu 2.66-2.74
Cu9 0.7159 0.7358 0.5000  4 Ga 2.53-2.71, 5 Cu 2.55-2.70
Cu10 0.8076 0.1817 0.0000  4 Ga 2.44-2.57, 2 Cu 2.70
Cu11 0.8183 0.6259 0.0000  4 Ga 2.44-2.57, 2 Cu 2.70
Cu12 0.8508 0.4201 0.5000  3 Cu 2.55-2.66, 5 Ga 2.55-2.64

- Raw total energy: -4.03 eV/atom
- Formation enthalpy at 0 K: -0.222 eV/atom
- SG: P-6



# 2
Entry from Alexandria via LeMat-Bulk: a relaxed structure of TiGaI2O (PBE).

Unit cell a=5.8498 b=5.8498 c=3.7911 alpha=90.00 beta=90.00 gamma=90.00
Closest atoms and distances in Å follow each position.
Atoms (fractional coordinates):
Ti1 0.0000 0.0000 0.0000  2 O 1.90
Ga1 0.5000 0.5000 0.5000  8 I 3.49, 2 Ga 3.79
I1 0.0000 0.5000 0.0000  2 Ti 2.92
I2 0.5000 0.0000 0.0000  2 Ti 2.92
O1 0.0000 0.0000 0.5000  2 Ti 1.90

- Raw total energy: -4.84 eV/atom
- ΔE to the lowest computed polymorph: 0.0000 eV per atom
- SG: P4/mmm



# 3
Entry from Alexandria via LeMat-Bulk: a relaxed structure of TlCu2NiBr6 (PBE).

Unit cell a=9.4874 b=9.4874 c=7.9325 alpha=108.59 beta=108.59 gamma=83.05
Closest atoms and distances in Å follow each position.
Atoms (fractional coordinates):
Tl1 0.1801 0.8199 0.7500  6 Br 3.27-3.64
Tl2 0.8199 0.1801 0.2500  6 Br 3.27-3.64
Cu1 0.2565 0.3595 0.8241  4 Br 2.39-2.51
Cu2 0.3595 0.2565 0.3241  4 Br 2.39-2.51
Cu3 0.6405 0.7435 0.6759  4 Br 2.39-2.51
Cu4 0.7435 0.6405 0.1759  4 Br 2.39-2.51
Ni1 0.1818 0.8182 0.2500  4 Br 2.35-2.37
Ni2 0.8182 0.1818 0.7500  4 Br 2.35-2.37
Br1 0.0437 0.1837 0.6822  1 Ni 2.37, 1 Cu 2.51
Br2 0.1606 0.6046 0.9914  1 Ni 2.35, 1 Cu 2.51
Br3 0.1837 0.0437 0.1822  1 Ni 2.37, 1 Cu 2.51
Br4 0.2639 0.4279 0.5592  2 Cu 2.39-2.41
Br5 0.3954 0.8394 0.5086  1 Ni 2.35, 1 Cu 2.51
Br6 0.4279 0.2639 0.0592  2 Cu 2.39-2.41
Br7 0.5721 0.7361 0.9408  2 Cu 2.39-2.41
Br8 0.6046 0.1606 0.4914  1 Ni 2.35, 1 Cu 2.51
Br9 0.7361 0.5721 0.4408  2 Cu 2.39-2.41
Br10 0.8163 0.9563 0.8178  1 Ni 2.37, 1 Cu 2.51
Br11 0.8394 0.3954 0.0086  1 Ni 2.35, 1 Cu 2.51
Br12 0.9563 0.8163 0.3178  1 Ni 2.37, 1 Cu 2.51

- Raw total energy: -3.01 eV/atom
- SG: C2/c



# 4
Entry from Alexandria via LeMat-Bulk: a relaxed structure of MgRe3Sb (PBE).

Unit cell a=4.8582 b=4.8582 c=4.8582 alpha=90.00 beta=90.00 gamma=90.00
Closest atoms and distances in Å follow each position.
Atoms (fractional coordinates):
Mg1 0.0000 0.0000 0.0000  12 Re 3.44
Re1 0.0000 0.5000 0.5000  2 Sb 2.43
Re2 0.5000 0.0000 0.5000  2 Sb 2.43
Re3 0.5000 0.5000 0.0000  2 Sb 2.43
Sb1 0.5000 0.5000 0.5000  6 Re 2.43

- Raw total energy: -6.31 eV/atom
- ΔE to the lowest computed polymorph: 0.0000 eV per atom
- SG: Pm-3m



# 5
Entry from Alexandria via LeMat-Bulk: a relaxed structure of BeCrPb (PBE).

Unit cell a=5.3959 b=5.3959 c=5.3959 alpha=145.89 beta=145.89 gamma=49.01
Closest atoms and distances in Å follow each position.
Atoms (fractional coordinates):
Be1 0.0000 0.0000 0.0000  4 Cr 2.38
Cr1 0.4167 0.4167 0.0000  4 Be 2.38
Pb1 0.7145 0.7145 0.0000  5 Be 2.80-3.07, 5 Cr 2.92-2.99
~~~

# Activity
Find "energy: -3.01" and "0.4167 0.0000" in the entries earlier on, and retype these two lines and those between.

# Response
- Raw total energy: -3.01 eV/atom
- SG: C2/c



# 4
Entry from Alexandria via LeMat-Bulk: a relaxed structure of MgRe3Sb (PBE).

Unit cell a=4.8582 b=4.8582 c=4.8582 alpha=90.00 beta=90.00 gamma=90.00
Closest atoms and distances in Å follow each position.
Atoms (fractional coordinates):
Mg1 0.0000 0.0000 0.0000  12 Re 3.44
Re1 0.0000 0.5000 0.5000  2 Sb 2.43
Re2 0.5000 0.0000 0.5000  2 Sb 2.43
Re3 0.5000 0.5000 0.0000  2 Sb 2.43
Sb1 0.5000 0.5000 0.5000  6 Re 2.43

- Raw total energy: -6.31 eV/atom
- ΔE to the lowest computed polymorph: 0.0000 eV per atom
- SG: Pm-3m



# 5
Entry from Alexandria via LeMat-Bulk: a relaxed structure of BeCrPb (PBE).

Unit cell a=5.3959 b=5.3959 c=5.3959 alpha=145.89 beta=145.89 gamma=49.01
Closest atoms and distances in Å follow each position.
Atoms (fractional coordinates):
Be1 0.0000 0.0000 0.0000  4 Cr 2.38
Cr1 0.4167 0.4167 0.0000  4 Be 2.38